-- File --
┌──
1.
The following is a simulated powder diffractogram of La6PmZn5. It was derived from a PBE-relaxed structure, using Cu Kα (weighted mean of Kα1 and Kα2).

Structural model:
```
La6PmZn5
1.0
5.3174 0.0000 0.0000
0.0000 7.6885 0.0000
-2.6618 0.0000 8.1603
La Pm Zn
6 1 5
direct
0.0000 0.2188 0.0000 La
0.0000 0.7812 0.0000 La
0.3249 0.2450 0.6473 La
0.3249 0.7550 0.6473 La
0.6751 0.2450 0.3527 La
0.6751 0.7550 0.3527 La
0.5000 0.5000 0.0000 Pm
0.1485 0.5000 0.3004 Zn
0.1656 0.0000 0.3357 Zn
0.5000 0.0000 0.0000 Zn
0.8344 0.0000 0.6643 Zn
0.8515 0.5000 0.6996 Zn
```

Top 6 peaks for 10° ≤ 2θ ≤ 90°, by angle:
2θ/deg	I (rel.)
32.93	24
33.14	100
33.71	25
47.84	17
58.88	16
59.93	18



2.
The following is a simulated powder diffractogram of Zr3Co6Ge5. It was derived from a PBE-relaxed structure, using Cu Kα (weighted mean of Kα1 and Kα2).

Structural model:
```
Zr3Co6Ge5
1.0
3.8438 0.0000 0.0000
0.0000 11.8392 0.0000
0.0000 0.0000 8.9244
Zr Co Ge
6 12 10
direct
0.2500 0.0772 0.2432 Zr
0.2500 0.4228 0.2432 Zr
0.2500 0.7500 0.2518 Zr
0.7500 0.2500 0.7482 Zr
0.7500 0.5772 0.7568 Zr
0.7500 0.9228 0.7568 Zr
0.2500 0.0587 0.5872 Co
0.2500 0.2500 0.4875 Co
0.2500 0.2500 0.9993 Co
0.2500 0.4413 0.5872 Co
0.2500 0.5838 0.0002 Co
0.2500 0.9162 0.0002 Co
0.7500 0.0838 0.9998 Co
0.7500 0.4162 0.9998 Co
0.7500 0.5587 0.4128 Co
0.7500 0.7500 0.0007 Co
0.7500 0.7500 0.5125 Co
0.7500 0.9413 0.4128 Co
0.2500 0.0850 0.8477 Ge
0.2500 0.4150 0.8477 Ge
0.2500 0.6318 0.5315 Ge
0.2500 0.7500 0.8427 Ge
0.2500 0.8682 0.5315 Ge
0.7500 0.1318 0.4685 Ge
0.7500 0.2500 0.1573 Ge
0.7500 0.3682 0.4685 Ge
0.7500 0.5850 0.1523 Ge
0.7500 0.9150 0.1523 Ge
```

Top 6 peaks for 10° ≤ 2θ ≤ 90°, by angle:
2θ/deg	I (rel.)
32.52	15
37.87	21
38.26	34
38.41	100
46.00	22
47.30	35
└──
-- Exercise --
Could you work out how many lines earlier on have the word "for" in them; a number is enough?
-- Solution --
2